QR Search Options is a cluster that contains the search options to use when searching for QR codes in the image.
Rotation Mode specifies the amount of QR code rotation the VI should allow for. The following values are valid:
Unlimited (0) |
The VI allows for unlimited rotation
0 Degrees (1) |
The VI allows for 0 degrees of rotation
90 Degrees (2) |
The VI allows for 90 degrees of rotation
180 Degrees (3) |
The VI allows for 180 degrees of rotation
270 Degrees (4) |
The VI allows for 270 degrees of rotation
Skip Location?, when TRUE, specifies that the VI should assume that the QR code occupies the entire image (or the entire search region). The VI skips the location phase and moves immediately to extracting and decoding the QR code. When FALSE, the VI does not make any assumptions about the percentage of the image occupied by the QR code. The default value is FALSE.
Edge Threshold specifies the minimum contrast a pixel must have in order to be considered part of a matrix cell edge. The lower this value is set, the more potential edge candidates the VI will
examine during the location phase. Setting this value too low will decrease the performance
of the VI because the VI will examine too many potential edge candidates. Setting this value
too high may also decrease the performance of the VI by removing valid edge candidates,
making location more difficult. Setting this value too high may also cause the VI to fail to
identify the matrix because all edge candidates are eliminated.
Demodulation Mode specifies the mode the VI should use to demodulate (determine which
cells are on and which cells are off) the QR code. The following values are valid:
Auto-detect (-2) |
(Default) The VI tries each demodulation mode and use the one which decodes the QR code within the fewest iterations and utilizing the least amount of error correction.
Histogram (0) |
The VI uses a histogram of all of the matrix cells to calculate a threshold. This threshold determines if a cell is on or off. This is the fastest method, but it requires QR code images with consistent levels of contrast in the matrix.
Local Contrast (1) |
The VI examines each of the cell's neighbors to determine if the cell is on or off.
This method is slower, but works with QR code images that have inconsistent levels of
contrast in the matrix.
Combination (2) |
The VI uses the histogram of the matrix to calculate a threshold. For cells with
pixel values that are sufficiently below or above this threshold, the VI will use the
threshold to determine if the cell is on or off. If the cell pixel values are close to
the threshold, the VI will use the Local Contrast method to determine if the cell is on
or off. This method is slower, but works with QR code images that have extremely low cell fill percentages or gross print growth errors.
All (3) |
The VI tries Histogram, Local
Contrast, and Combination, stopping once
one mode is successful.
Cell Sample Size specifies the sample size, in pixels, the VI should take to determine
if each cell is on or off.
Auto-detect (-2) |
(Default) The VI will try each sample size and use the one which decodes the QR code within the fewest iterations and utilizing the least amount of error
1×1 (1) |
The VI will use a 1×1 sized sample from each cell.
2×2 (2) |
The VI will use a 2×2 sized sample from each cell.
3×3 (3) |
The VI will use a 3×3 sized sample from each cell.
4×4 (4) |
The VI will use a 4×4 sized sample from each cell.
5×5 (5) |
The VI will use a 5×5 sized sample from each cell.
6×6 (6) |
The VI will use a 6×6 sized sample from each cell.
7×7 (7) |
The VI will use a 7×7 sized sample from each cell.
Cell Filter Mode specifies the mode the VI uses to determine the pixel value for each
cell. Note that if Cell Sample Size is
1×1, the value of the single samples pixel always determines the pixel value for
the cell. The following values are valid:
Auto-detect (-2) |
The VI tries all filter modes and uses the one that decodes the QR code
within the fewest iterations and utilizing the least amount of error correction.
Average (0) |
The VI sets the pixel value for the cell to the average of the sampled
Median (1) |
The VI sets the pixel value for the cell to the median of the sampled pixels.
Central Average (2) |
The VI sets the pixel value for the cell to the average of the pixels in the center
of the cell sample.
High Average (3) |
The VI sets the pixel value for the cell to the average value of the half of the
sampled pixels with the highest pixel values.
Low Average (4) |
The VI sets the pixel value for the cell to the average value of the half of the
sampled pixels with the lowest pixel values.
Very High Average (5) |
The VI sets the pixel value for the cell to the average value of the ninth of the
sampled pixels with the highest pixel values.
Very Low Average (6) |
The VI sets the pixel value for the cell to the average value of the ninth of the
sampled pixels with the lowest pixel values.
All Filters (8) |
The VI tries each filter mode, starting with Average
and ending with Very Low Average, stopping once a filter
mode decodes correctly.
Skew Degrees Allowed specifies the amount of skew in the code the VI should allow for.
The default is 5 degrees.
Image is a reference to the source image.
ROI Descriptor is a descriptor that defines the the rectangle, rotated rectangle, or polygon within which the QR code is located.
Global Rectangle contains the coordinates of the bounding rectangle.
Contours are each of the individual shapes that define an ROI.
ID refers to whether the contour is the external or internal edge of an ROI.
Type is the shape type of the contour.
Coordinates indicates the relative position of the contour.
QR Description Options is a cluster that contains the QR code description options to use
when searching for QR codes in the image.
Matrix Size (cells) specifies the size of QR code.
Barcode Polarity specifies the data-to-background contrast for the QR code. The following values are valid:
Auto-detect (-2) |
(Default) Sets the VI to determine the code polarity automatically.
Black On White (0) |
Sets the VI to read codes with dark data on a bright background.
White On Black (1) |
Sets the VI to read codes with bright data on a dark background.
Mirror Mode specifies if the code appears normally in the image or if the code
appears mirrored in the image. The following values are valid:
Auto-detect (-2) |
(Default) Sets the VI to automatically determine if the code is mirrored.
Normal (0) |
Sets the VI to read codes that appear normally in the image.
Mirrored (1) |
Sets the VI to read codes that appear mirrored in the image.
QR Model is the Model Type to look for. There are three major QR code models: QR Code Model 1, QR Code Model 2, and Micro QR Code.
Micro QR Codes have only a single target in the top left, while Model 1 and Model 2 have
targets in all corners except for the bottom right. Model 2 codes have alignment patterns
inside the data. Model 1 codes have alignment patterns along the edges.
Auto Detect (0) |
Automatically selects the QR model.
Micro (1) |
Selects the Micro QR Code model.
Model 1 (2) |
Selects the QR Code Model 1 model.
Model 2 (3) |
Selects the QR Code Model 2 model.
error in (no error) describes the error status before this VI or function runs. The default is
no error. If an error occurred before this VI or
function runs, the VI or function passes the error in value to
error out. This VI or function runs normally only if no error
occurred before this VI or function runs. If an error occurs while this VI or function runs,
it runs normally and sets its own error status in error out. Use the Simple Error Handler or General Error Handler VIs to display the
description of the error code. Use error in and error out to check errors and to specify execution order by wiring
error out from one node to error in of the next node.
status is TRUE (X) if an error occurred before this VI or function ran or FALSE
(checkmark) to indicate a warning or that no error occurred before this VI or function ran.
The default is FALSE.
code is the error or warning code. If status is
TRUE, code is a nonzero error code. If status is FALSE, code is 0 or a warning code.
Materials data that have nothing to do with the entry =
┌──
Entry 1:
Here is crystalline ZnFeSi4O10 at its relaxed geometry from the Materials Project database. Energies are from meta-GGA r2SCAN.

Summary:
- total moment (μB per formula unit) = 4.000
- space group = P4/ncc
- E_form (eV/atom) = -2.594

Structure (POSCAR):
```
ZnFeSi4O10
1.0
7.210 0.000 0.000
0.000 7.210 0.000
0.000 0.000 14.782
Si O Zn Fe
16 40 4 4
Direct
0.763 0.158 0.355
0.342 0.263 0.355
0.158 0.763 0.145
0.237 0.158 0.855
0.263 0.342 0.145
0.263 0.658 0.645
0.158 0.237 0.645
0.737 0.658 0.145
0.237 0.842 0.355
0.842 0.763 0.645
0.737 0.342 0.645
0.658 0.737 0.355
0.342 0.737 0.855
0.763 0.842 0.855
0.842 0.237 0.145
0.658 0.263 0.855
0.249 0.437 0.626
0.583 0.269 0.574
0.417 0.269 0.074
0.751 0.437 0.126
0.231 0.083 0.574
0.937 0.251 0.626
0.083 0.769 0.426
0.269 0.583 0.926
0.186 0.186 0.750
0.751 0.563 0.626
0.251 0.937 0.874
0.437 0.249 0.874
0.769 0.917 0.574
0.251 0.063 0.374
0.249 0.563 0.126
0.269 0.417 0.426
0.417 0.731 0.574
0.063 0.749 0.626
0.314 0.314 0.250
0.917 0.769 0.926
0.686 0.686 0.250
0.186 0.814 0.250
0.583 0.731 0.074
0.937 0.749 0.126
0.814 0.186 0.250
0.231 0.917 0.074
0.814 0.814 0.750
0.437 0.751 0.374
0.063 0.251 0.126
0.083 0.231 0.926
0.731 0.417 0.926
0.749 0.063 0.874
0.769 0.083 0.074
0.314 0.686 0.750
0.917 0.231 0.426
0.563 0.751 0.874
0.731 0.583 0.426
0.563 0.249 0.374
0.686 0.314 0.750
0.749 0.937 0.374
0.500 0.500 0.000
0.500 0.500 0.500
0.000 0.000 0.000
0.000 0.000 0.500
0.500 0.000 0.067
0.000 0.500 0.933
0.000 0.500 0.433
0.500 0.000 0.567
```



Entry 2:
Here is crystalline Sm3FeO6 at its relaxed geometry from the Materials Project database. Energies are from meta-GGA r2SCAN.

Summary:
- total moment (μB per formula unit) = 5.000
- space group = Cmc2_1
- E_form (eV/atom) = -3.276

Structure (POSCAR):
```
Sm3FeO6
1.0
4.534 -5.685 0.000
4.534 5.685 0.000
0.000 0.000 5.550
Sm Fe O
6 2 12
Direct
0.799 0.587 0.543
0.897 0.103 0.498
0.103 0.897 0.998
0.413 0.201 0.543
0.201 0.413 0.043
0.587 0.799 0.043
0.308 0.692 0.574
0.692 0.308 0.074
0.394 0.917 0.748
0.540 0.460 0.219
0.460 0.540 0.719
0.284 0.716 0.239
0.083 0.606 0.748
0.854 0.826 0.271
0.826 0.854 0.771
0.146 0.174 0.771
0.917 0.394 0.248
0.716 0.284 0.739
0.606 0.083 0.248
0.174 0.146 0.271
```



Entry 3:
Here is crystalline Sr21Fe14O47 at its relaxed geometry from the Materials Project database. Energies are from meta-GGA r2SCAN.

Summary:
- total moment (μB per formula unit) = 59.475
- space group = P-1
- E_form (eV/atom) = -2.458

Structure (POSCAR):
```
Sr21Fe14O47
1.0
8.623 0.000 -0.002
-4.311 10.943 0.010
-1.729 -4.760 11.093
O Sr Fe
47 21 14
Direct
0.213 0.614 0.507
0.897 0.191 0.498
0.834 0.821 0.081
0.288 0.999 0.928
0.029 0.180 0.714
0.534 0.809 0.148
0.321 0.191 0.638
0.466 0.191 0.852
0.087 0.396 0.926
0.428 0.002 0.642
0.631 0.604 0.647
0.913 0.604 0.074
0.103 0.809 0.502
0.787 0.386 0.493
0.313 0.179 0.141
0.369 0.396 0.353
0.178 0.182 0.415
0.609 0.191 0.568
0.494 0.383 0.067
0.893 0.181 0.987
0.391 0.809 0.432
└──
Back to the entry =
source describes the origin of the error or warning and is, in most cases, the
name of the VI or function that produced the error or warning. The default is an empty
QR Code Cell Size (pixels) is a cluster that contains the code size options to use when
searching for codes in the image. The size refers to cell size in pixels.
Minimum Size specifies the minimum size (in pixels) of a cell in the code.
Maximum Size specifies the maximum size (in pixels) of a cell in the code.
Image (duplicate) is the reference to the image that contains the QR code.
QR Code Report is a cluster that contains the QR code description options to use
when searching for QR codes in the image.
Found? returns TRUE if a QR code was found and decoded in the image. This parameter returns FALSE if the VI failed to locate and decode a QR barcode.
Data shows the encoded data in the code.
Bounding Box is an array that define the boundary of the QR code in the
Errors Corrected specifies the number of rows in the QR code.
Dimensions (Rows/Cols) specifies the number of rows and columns in the QR code. This is measured in cells. All QR codes are square by specification.
Version specifies the version of the QR code. This is with respect to the model
QR Model is the QR code model found.
Stream Mode specifies the stream mode or the format of the data that is encoded in
the QR code.
Barcode Polarity indicates the data-to-background contrast for the QR code.
Mirrored? indicates if the QR code appeared mirrored (TRUE) or normally (FALSE)
in the image.
Append Stream Position indicates what position the QR symbol is in with respect to the stream
of data in all symbols. It is possible for a QR symbol to be part of a larger array of
Size of Append Stream specifies how many QR symbols are part of a larger array of symbols.
Sometimes a QR symbol is part of a larger array of symbols. This tells us how many symbols
are involved in this array.
First EAN-128 ID is the first EAN-128 Application ID encountered in the stream. This is
only useful for EAN-128 codes. For mixed/appended EAN-128 codes, refer to the tokenized output.
First Alternate Language ID is the first Regional Language Designator encountered in the stream.
This is only useful for ECI codes and for multiple language ECI symbols, refer to the
tokenized output.
Append Stream ID specifies what stream this symbol is in relation to. Sometimes a QR
symbol is part of a larger array of symbols. Stream ID can be useful when there are a number
of QR streams and a symbol needs to be categorized.
Minimum Edge Strength specifies the minimum contrast a pixel must have in order to be
considered part of a matrix cell edge. The lower this value, the more potential edge candidates the VI will
examine during the location phase. Setting this value too low will decrease the performance
of the VI because the VI will examine too many potential edge candidates. Setting this value
too high may also decrease the performance of the VI by removing valid edge candidates,
making location more difficult. Setting this value too high may also cause the VI to fail to
identify the matrix because all edge candidates are eliminated.
Demodulation Mode specifies the mode the VI used to demodulate (determine which
cells are on and which cells are off) the QR code.
Cell Sample Size specifies the sample size, in pixels, the VI used to determine if each cell is on or off.
Cell Filter Mode specifies the mode the VI used to determine the pixel value for each
Tokenized Output Data contains the data tokenized in exactly the way it was encoded in the
symbol. This is useful if the symbol is encoded using multiple languages. ModeData will contain the language identifier. This is also useful if the symbol contains
multiple EAN-128 application IDs. ModeData will contain the Application Identifiers.
Otherwise, the QR Code Report data should suffice.
Stream Mode specifies the stream mode or the format of the data that is encoded in
~~~
Computed, not measured: crystalline MnHO2 at its relaxed geometry at the PBE+U level of DFT.

Lattice parameters (Å, degrees): 6.076 6.102 9.002 89.97 90.07 90.06
Atoms (fractional coordinates):
Mn 0.781 0.250 0.249
Mn 0.218 0.750 0.751
Mn 0.281 0.248 0.251
Mn 0.499 0.470 0.001
Mn 0.001 0.029 0.500
Mn 0.999 0.529 0.500
Mn 0.499 0.971 0.999
Mn 0.718 0.749 0.750
H 0.428 0.276 0.510
H 0.924 0.227 0.988
H 0.970 0.170 0.763
H 0.073 0.725 0.011
H 0.574 0.784 0.490
H 0.044 0.670 0.239
H 0.543 0.827 0.260
H 0.454 0.330 0.738
O 0.469 0.478 0.779
O 0.195 0.776 0.529
O 0.223 0.726 0.973
O 0.471 0.946 0.778
O 0.804 0.276 0.471
O 0.974 0.022 0.721
O 0.774 0.227 0.028
O 0.529 0.976 0.220
O 0.970 0.553 0.721
O 0.303 0.222 0.029
O 0.028 0.053 0.279
O 0.724 0.775 0.528
O 0.277 0.272 0.472
O 0.695 0.723 0.971
O 0.528 0.445 0.222
O 0.029 0.522 0.280

E (MP2020) = -7.30 eV per atom
ΔE_f = -163 kJ per mole of atoms


Computed, not measured: crystalline MnHO2 at its relaxed geometry at the PBE+U level of DFT.

Lattice parameters (Å, degrees): 6.235 10.623 10.701 89.84 89.61 89.84
Atoms (fractional coordinates):
O 0.998 0.856 0.216
O 0.244 0.658 0.028
O 0.495 0.823 0.449
O 0.754 0.658 0.279
O 0.987 0.547 0.829
O 0.025 0.450 0.180
O 0.244 0.336 0.972
O 0.735 0.028 0.341
O 0.488 0.447 0.165
O 0.001 0.799 0.836
O 0.757 0.666 0.028
O 0.759 0.714 0.658
O 0.471 0.848 0.201
O 0.513 0.148 0.795
O 0.255 0.027 0.347
O 0.754 0.971 0.657
O 0.528 0.177 0.547
O 0.262 0.278 0.340
O 0.736 0.283 0.332
O 0.753 0.338 0.716
O 0.021 0.826 0.461
O 0.522 0.547 0.833
O 0.988 0.155 0.801
O 0.261 0.711 0.659
O 0.253 0.968 0.657
O 0.518 0.795 0.848
O 0.475 0.195 0.143
O 0.005 0.203 0.152
O 0.242 0.663 0.287
O 0.757 0.340 0.970
O 0.992 0.175 0.553
O 0.245 0.345 0.723
Mn 0.496 0.640 0.142
Mn 0.998 0.355 0.857
Mn 0.251 0.848 0.343
Mn 0.995 0.144 0.363
Mn 0.009 0.854 0.643
Mn 0.255 0.151 0.657
Mn 0.499 0.141 0.357
Mn 0.755 0.661 0.849
Mn 0.502 0.357 0.857
Mn 0.505 0.854 0.642
Mn 0.002 0.641 0.142
Mn 0.251 0.335 0.150
Mn 0.751 0.341 0.149
Mn 0.253 0.653 0.848
Mn 0.745 0.848 0.343
Mn 0.754 0.151 0.662
H 0.469 0.931 0.163
H 0.258 0.665 0.580
H 0.520 0.837 0.928
H 0.236 0.419 0.670
H 0.772 0.647 0.597
H 0.715 0.344 0.398
H 0.996 0.939 0.178
H 0.760 0.591 0.341
H 0.000 0.857 0.906
H 0.757 0.403 0.653
H 0.270 0.347 0.399
H 0.519 0.066 0.836
H 0.973 0.088 0.863
H 0.467 0.155 0.061
H 0.220 0.598 0.350
H 0.009 0.161 0.072

E (MP2020) = -7.25 eV per atom
ΔE_f = -158 kJ per mole of atoms


> Which value of E (MP2020) does entry 1 give?

-7.30 eV per atom
~~~
the QR code.
Mode Data specifies Stream Mode specific data. This parameter uses the following mapping:
- Numeric – Length of Data String
- AlphaNumeric – Length of Data String
- Raw-Byte – Length of Data String
- UCC/EAN-128 In Tokens – Application ID for the length of the data token
- UCC/EAN-128 In Data – Length of Data String
- Extended Character Interpretation – Language Identifier for the length of the data token
- Kanji –Length of Data String
Data shows the encoded data in the code.
error out contains error information. If error in
indicates that an error occurred before this VI or function ran, error
out contains the same error information. Otherwise, it describes the error status
that this VI or function produces. Right-click the error out
indicator on the front panel and select Explain Error from the
shortcut menu for more information about the error.
status is TRUE (X) if an error occurred or FALSE (checkmark) to indicate a warning
or that no error occurred.
code is the error or warning code. If status is
TRUE, code is a nonzero error code. If status is FALSE, code is 0 or a warning code.
source describes the origin of the error or warning and is, in most cases, the
name of the VI or function that produced the error or warning. The default is an empty
Refer to the following for an example that uses this VI.